## File
=====
The following is a GGA-PBE calculation of a relaxed AcPuZnN3 crystal, from Alexandria.

DOS(E_F) (states/eV/f.u.): 7.71
Raw total energy (eV per atom): -8.226
Spin magnetization (μB per atom): 0.667

a = 7.4734 Å, b = 3.5581 Å, c = 7.5604 Å
α = 90.00°, β = 102.36°, γ = 90.00°
Last column: nearest neighbours and their distance in Å.
Space group P2_1/m (No. 11)
Inequivalent atoms, fractional coordinates:
Ac  0.1907  0.2500  0.2184  5 N 2.59-2.80
Pu  0.3440  0.7500  0.8362  5 N 2.22-2.39
Zn  0.0955  0.2500  0.5984  4 N 2.00-2.14
N  0.1403  0.2500  0.8688  1 Zn 2.00
N  0.1944  0.7500  0.5058  3 Zn 2.10-2.14
N  0.4377  0.7500  0.1355  3 Pu 2.22-2.39

* * * * *

(A)
Material: Ni2C
Method: DFT, PBE-GGA
State: optimized geometry

Calculated values
- SG = No. 225

Structure (extended XYZ):
```
3
Lattice="-1.804 -0.355 -2.847 -1.042 -3.075 -0.973 -3.288 -0.807 0.167" Properties=species:S:1:pos:R:3 pbc="T T T"
Ni -4.600 -3.178 -2.740
Ni -1.533 -1.059 -0.913
C 0.000 0.000 0.000
```

(B)
Material: Ni2C
Method: DFT, PBE-GGA
State: optimized geometry

Calculated values
- SG = No. 164

Structure (extended XYZ):
```
9
Lattice="-2.565 -0.797 0.470 1.438 -1.150 -2.011 5.012 -10.475 9.577" Properties=species:S:1:pos:R:3 pbc="T T T"
Ni 4.589 -9.591 8.769
Ni 0.423 -0.884 0.808
Ni 3.784 -8.723 5.848
Ni 0.102 -3.699 2.188
Ni 2.967 -7.016 4.287
Ni 0.918 -5.406 3.750
C 2.506 -5.237 4.788
C 4.372 -9.952 6.972
C -0.487 -2.470 1.065
```

Which is less stable than every other structure shown? (B) is.
=====
## Brief
Could you duplicate all of the entries further up word for word?
## Written answer
The following is a GGA-PBE calculation of a relaxed AcPuZnN3 crystal, from Alexandria.

DOS(E_F) (states/eV/f.u.): 7.71
Raw total energy (eV per atom): -8.226
Spin magnetization (μB per atom): 0.667

a = 7.4734 Å, b = 3.5581 Å, c = 7.5604 Å
α = 90.00°, β = 102.36°, γ = 90.00°
Last column: nearest neighbours and their distance in Å.
Space group P2_1/m (No. 11)
Inequivalent atoms, fractional coordinates:
Ac  0.1907  0.2500  0.2184  5 N 2.59-2.80
Pu  0.3440  0.7500  0.8362  5 N 2.22-2.39
Zn  0.0955  0.2500  0.5984  4 N 2.00-2.14
N  0.1403  0.2500  0.8688  1 Zn 2.00
N  0.1944  0.7500  0.5058  3 Zn 2.10-2.14
N  0.4377  0.7500  0.1355  3 Pu 2.22-2.39

* * * * *

(A)
Material: Ni2C
Method: DFT, PBE-GGA
State: optimized geometry

Calculated values
- SG = No. 225

Structure (extended XYZ):
```
3
Lattice="-1.804 -0.355 -2.847 -1.042 -3.075 -0.973 -3.288 -0.807 0.167" Properties=species:S:1:pos:R:3 pbc="T T T"
Ni -4.600 -3.178 -2.740
Ni -1.533 -1.059 -0.913
C 0.000 0.000 0.000
```

(B)
Material: Ni2C
Method: DFT, PBE-GGA
State: optimized geometry

Calculated values
- SG = No. 164

Structure (extended XYZ):
```
9
Lattice="-2.565 -0.797 0.470 1.438 -1.150 -2.011 5.012 -10.475 9.577" Properties=species:S:1:pos:R:3 pbc="T T T"
Ni 4.589 -9.591 8.769
Ni 0.423 -0.884 0.808
Ni 3.784 -8.723 5.848
Ni 0.102 -3.699 2.188
Ni 2.967 -7.016 4.287
Ni 0.918 -5.406 3.750
C 2.506 -5.237 4.788
C 4.372 -9.952 6.972
C -0.487 -2.470 1.065
```

Which is less stable than every other structure shown? (B) is.